First Lesson on Will.mp3
First Lesson on Will.wav
First Lesson on Will.flac
Second Lesson on Will
God has given will to man and if we do that which He wishes us to do, we shall be of the Circles who will carry out His plans. Are we to be worthy of this great faith in us to which we seem so blind? Are we too to sell our birthright for a mess of potage? If we are to work as we should we will begin and now, and , as we begin, we exercise our will, and in that exercise it develops and grows, and eventually it leads us to knowledge. So to learn to use our will is the first step to Circles.
On earth men will develop what they will to develop. Are we to be of forces who do not intend to follow the law? We are free to choose and on our choice depends the future of each one of us.
To deliberately turn from those things on earth which hamper our progress is to enter the Circles of the Will. To stamp out the spirit of willfulness and to learn utter self-control is to be of the Circles of Will. To so conquer our worldly interests we must overcome both self and outside influences. If we are to attain we must work and work hard, and this brings us into the Circles of the Will.
If we are to grow spiritually, we will to grow.
If we are to achieve, we will to achieve.
If we are to learn, we will to learn.
Whatever man accomplishes he does through will. Whatever we do, we do by the exercise of the will, no matter how insignificant it may be, and to learn to control and direct our will, therefore, is most important to us, and the first step is self-control.
To be absolute master of ourselves and our moods is to begin to be of power. Until this is achieved we cannot do fully that which we are told to do. We are not always able to accomplish this, but each step forward carries us further on the path to ultimate success. Each man must learn self-control some time, and the sooner he starts the greater his power.
Man would lose identity if he had to learn by force, so to each one is given complete freedom of choice as to when and how he will begin, and in his own hands rests his own destiny. We will not become fully developed spirits when we leave the earth plane if we have not started the development of our will while on earth, and will is quite distinct from willfulness there and here. Will implies complete self-mastery and self-control.
To will to utterly obey God’s laws mean entire self-mastery. To say “Thy will, not mine, be done,” means perfect obedience through the will, and leads us to greater power than we ever dreamed of on earth. We will come only through this conquest into our full inheritance.
This is the second lesson Will. Pray and study and learn all of life’s lessons.

Second Lesson on Will.mp3
Second Lesson on Will.wav
Second Lesson on Will.flac
Third Lesson on Will
When man begins to cultivate his will, he begins to be of those Circles which fully understand the power of the will, and each step that he achieves leads him to further knowledge of the Circles to which he belongs, and as his knowledge grows his understanding of the ultimate truth broadens, while each time that he learns a little portion of the great and living truth, he becomes better able to enter into the work of his Circles.
When he finally has conquered what this Circle holds for him, he passes on into Knowledge, and to each is given a portion of the truth of all the Circles if they steadily work. Where is the man who will work without light on where he is going? Where is the man who with the vision of great achievement before him will turn away? And each day of work open new vistas.
Eventually man will be little lower than the angels, but to become this he must do his part to his full capacity, and each day that he defers starting on his real work is a day lost. God put man in a material world to test his ability to find the real among the false things in the midst of which he lives, and when he has tried the pleasures of earth and found how little real satisfaction they bring him, he begins to look for something beyond, and if he is sincere in his search he begins to will to find the truth, and then he enters into his Circles. And as he seeks his will grows and his knowledge is increased.
He may be unconscious of the spiritual guides who surround and aid him, but his own desire for only that which will be of benefit to al will keep him on the path, and as he works he grows, and in growing his eyes are opened more and more to the real worth of life until he enters into conscious communion with the spirits of God.
This is the third lesson on Will.

Third Lesson on Will.mp3
Third Lesson on Will.wav
Third Lesson on Will.flac
To be able to be complete master of ourselves we will have to turn to the spiritual forces, for without the inspiration and guidance they give us we would be unable to follow that which we are told to do. To enter the Circles would be impossible without spiritual help, and that help we are given by the guides whose privilege it is to serve your world.
To be alive to these forces is to be of great power and of great blessedness on earth, an later here with the eternal forces. To be able to work with these forces is to be spiritually alive. Are we to do well that which God intended us to do, or are we to be blind to what is the best in life?
In making this choice man asserts his will, and in his utter freedom to choose when he will turn to God lays his complete freedom of the will. To give all of himself to his living Father is a free gift, which he alone can make. To determine when he will turn is to exert his free will, and having once turned, to keep in the path, is to exert his will hourly. To rise each time he stumbles and to continue on his way, he must exert his will. To learn to willingly give up his own desires, to do as he is told, means self-mastery, and self-mastery is only acquired through the exercise of the will.
To achieve anything man must use his will spiritually or materially, and when he once learns how to exercise this faculty, he begins to be of worth in the Circles, and as he grows in power he will enter more fully into Knowledge.
When one he has achieved Will, then he will be able to enter the Circles of Knowledge. But to achieve will mean complete self-control, and this means power to think and will t perform. Even to be of Circles, we must be controlled in all our feelings and in all our moods, an until man has learned this urgent lesson, he cannot go on to the further and more advanced forces to which he would belong.
This is the end of the fourth lesson on Will.

Fourth Lesson on Will.mp3
Fourth Lesson on Will.wav
Fourth Lesson on Will.flac
Fifth Lesson on Will
When man turns to God he deliberately wills to surrender his own way and to walk in the path which God chooses as best for him, an each day of obedient service will open new light everywhere to him. Are we to be as willing workers in God’s vineyard even at the eleventh hour?
For the Lord of the vineyard in his mercy has said that we can enter when we will even unto the last hour, and though the time we lost in waiting will never be made up, yet our work is helping to shorten the time of waiting for the blessed end. We all in time will be at the same place of judgment to answer for our lives, and great as God’s mercy is, the complete freedom he has given to man makes him fully responsible for his own actions at all times.
Far more tenderly than we would judge a beloved, little child, God will judge us, and w need have no fear of His judgment, but when the day comes that we see all that we might have done before us, we will be far sterner to ourselves than any judge would be, and the lost hours will condemn us to our own minds. Not only lost hours of opportunity but lost hours of the joy which only comes with perfect obedience to God’s will. And the first step to that utter harmony is will.
To recognize that we are on earth for a definite purpose and to ally ourselves with that purpose means an effort must be mad daily, hour by hour, an eventually we shall accomplish what we would. No failure must discourage nor must time be wasted in futile regrets. To arise from each stumble with firmer purpose and more determined will to conquer in the end, is to be on the road to success. To open our hearts and minds to God’s love and sunshine, to refuse to be downcast over mistakes, will require strong effort of our will.
Are we to achieve without work? No strong foundation was ever built without effort and each stone of our spiritual foundation must be securely laid. We shall only be able t work with our full power when we willingly conform to all of God’s laws, and when we have become thus obedient through our own will, we shall love our brother as ourselves and so bring the earth world into more complete working harmony with the spiritual world.
Work hard, therefore, children of men, because on your effort much depends.
This is the fifth lesson on Will.
Love, work, and study. We are always with you.

## Data records from another source follow
┌──
No. 1
12
Properties=species:S:1:pos:R:3:forces:R:3 method="wB97M-V/def2-TZVPD" total_charge=0 de_lowest_kcal_mol=42.42 smiles="N=C=N.CC=O"
C 0.5268 -0.9499 1.1026 0.011 0.002 -0.099
C 0.0403 0.7450 -1.9211 0.043 0.048 -0.082
N -0.0215 -0.3762 -2.4183 -0.024 0.526 0.193
N 0.2751 1.8680 -1.4973 -0.056 -0.529 -0.259
C -0.4900 0.0458 1.5884 -0.193 0.081 -0.163
O -1.2654 0.6411 0.8780 0.298 -0.348 0.318
H 0.5722 -0.9637 0.0129 0.026 -0.006 0.206
H 0.2588 -1.9476 1.4717 0.029 0.142 0.004
H 1.5168 -0.7104 1.5042 -0.136 -0.007 0.006
H -0.4428 -1.1084 -1.8590 -0.006 0.071 -0.041
H -0.4653 2.5566 -1.5501 0.039 -0.037 0.014
H -0.5050 0.1997 2.6881 -0.029 0.056 -0.099



No. 2
12
Properties=species:S:1:pos:R:3:forces:R:3 method="wB97M-V/def2-TZVPD" total_charge=0 de_lowest_kcal_mol=75.61
C 2.0163 -0.3413 -0.1993 -5.362 -0.668 1.078
C 0.1203 -1.0356 0.0916 2.229 2.463 -1.397
C -1.9845 0.3803 -0.0253 0.892 -2.045 3.028
N 2.0010 0.8426 0.1703 -1.974 -1.591 0.457
N -0.5422 0.1693 0.1442 0.602 -2.440 0.224
O -0.1660 -2.1906 0.0080 -0.419 0.306 0.134
H 2.6273 -1.0294 -0.7137 1.413 -0.546 -0.205
H -2.5020 -0.4259 0.5548 0.263 0.754 -0.074
H -2.3207 1.3278 0.3482 0.053 0.488 -0.169
H -2.2344 0.1303 -0.9887 -0.716 0.209 -2.572
H 2.8087 1.3348 0.2347 3.313 1.933 -0.355
H 0.1763 0.8379 0.3752 -0.293 1.138 -0.150



No. 3
12
Properties=species:S:1:pos:R:3:forces:R:3 method="wB97M-V/def2-TZVPD" total_charge=0 de_lowest_kcal_mol=29.55 smiles="CNC=O.C#N"
C -1.3841 0.2846 1.0704 -0.122 0.089 0.091
N 0.0544 -1.3805 -2.9804 0.862 0.418 0.592
C 0.9291 -0.9371 -2.3702 -0.752 -0.384 -0.568
N -0.1039 -0.1260 0.5345 0.270 -0.029 -0.087
C 1.0287 0.6078 0.5925 -0.035 -0.060 -0.047
└──

Fifth Lesson on Will.mp3
Fifth Lesson on Will.wav
Fifth Lesson on Will.flac
Sixth Lesson on Will
As in his work day by day man willingly turns to God, his power of comprehension further develops and he will apprehend what that truth is which he could not in the least understand before, while about him close are spiritual guides, and these guides will never leave him as long as he works with his full strength and as long as his heart is open to God’s love and sunshine.
Whenever man turns to God and lives according to His laws, he feels in his heart a radiant joy that fills his whole life with content. Are we to pass this great and wonderful privilege by? Are we to be clods when we might be searchlights? Are we to be content with the shadow when we might have the substance? Are we to be of worthless energy which must return again to earth’s lesson?
All that is to be done must be done in the beginning while we are on earth before we can go to further planets and experiences, and only when we will be God’s obedient children can we progress, and the first step on the journey is to will.
This is the sixth and last lesson on will.

Sixth Lesson on Will.mp3
Sixth Lesson on Will.wav
Sixth Lesson on Will.flac